Lord of Glory

Chapter 41: tougher than you


The next morning, Palatine was standing in front of the statue of Inos, accepting the prayers of the coming commoners. While holding a girl's hand with a smile to explain the grace of God, the door of the church was suddenly kicked open.

Here the text breaks off for data records:
=====
179
Properties=species:S:1:pos:R:3:forces:R:3 method="wB97M-V/def2-TZVPD" lumo_energy_ev=0.0 total_charge=0 gap_ev=7.39 homo_energy_ev=-7.4 energy_ha=-7787.25622
O 4.28097 1.85811 -2.36555 0.0 -0.1 -0.3
H 3.54778 3.13730 6.29416 -0.6 -0.4 -0.5
C 3.45068 2.85865 0.48540 -0.5 0.5 2.2
O -0.72792 3.22089 4.82325 0.8 -0.8 0.5
C -0.78874 0.41451 6.29186 -0.5 -0.4 0.2
H -3.96543 -6.77703 0.06093 0.1 0.0 0.0
H -4.93179 2.49606 -0.48747 0.1 -0.1 0.0
H 6.51156 -2.36305 -5.00773 0.0 0.0 -0.1
H 2.21336 -2.69251 6.20832 -0.1 1.2 -0.2
S -3.00734 1.14655 -0.87552 -0.1 0.1 -0.2
H -7.81816 -2.03753 -0.70796 0.0 0.0 -0.1
C -1.54672 -3.27244 -3.11979 0.0 0.1 0.0
H 7.18530 10.77664 4.80047 0.0 0.0 0.0
H 7.05818 2.43803 4.71405 -0.9 -0.1 -0.3
C 4.23098 3.48807 2.85299 -0.9 -0.1 -0.8
H -12.07100 3.37679 -8.23377 0.0 -0.1 0.1
H 0.22944 -2.22059 -6.15114 -0.1 0.0 0.1
O 1.95352 -2.43378 3.47364 1.4 -0.1 -0.2
C -0.09523 -2.86941 -5.33797 0.1 0.0 0.0
H -7.82552 2.03753 -4.36349 0.0 0.0 0.0
S -10.80004 1.55109 -7.38477 0.0 0.0 0.0
H 3.71509 0.25147 -5.51454 0.1 0.0 0.1
H -5.78511 0.23497 -12.96919 -0.1 -0.1 0.1
C 3.57095 -6.85367 2.93576 -1.6 1.0 0.0
H 1.10178 -1.45876 5.50626 1.0 0.0 0.3
N 0.20452 1.12016 5.40863 -0.5 1.3 1.0
H -8.88448 -2.36152 0.69212 0.0 0.0 0.0
H 5.85917 -1.64772 9.41637 0.0 1.1 -0.4
H 5.17229 8.70631 5.97753 0.1 0.0 -0.1
S 6.26598 8.78099 3.83749 0.0 0.0 -0.1
C 5.33530 -0.80913 8.87845 -0.9 -0.8 -0.4
O 1.90259 0.76101 7.58526 0.4 0.6 -2.5
O 0.66857 3.20173 7.42500 1.0 -1.6 -1.0
H -5.75994 1.02115 -5.36108 -0.1 0.0 0.1
S -1.30292 -1.97389 -4.34267 0.0 -0.2 0.1
C 2.24376 -7.44715 3.13142 -0.1 1.6 -0.4
H 8.44568 9.65584 4.23435 -0.1 -0.1 -0.1
H -3.63774 -5.96265 1.60961 0.1 0.0 0.0
H 4.06407 0.38570 6.19923 -0.1 0.0 -0.2
H -9.49127 -1.43249 -0.69756 0.0 -0.1 0.0
H -1.66172 2.34096 -2.46981 -0.1 0.0 0.1
H -0.11400 2.80880 0.56218 0.9 -0.3 -0.6
C -1.39763 -7.35009 -0.93786 -0.1 -0.1 -0.1
H -8.27043 -5.83481 -0.91335 -0.1 0.1 0.0
C -5.67443 -0.80941 -9.45767 0.1 0.1 0.1
S -6.64047 -0.75307 -10.97879 0.0 0.0 0.0
H 3.18984 -0.81969 3.91298 -0.1 -0.8 0.4
H -1.74257 2.28267 2.71108 0.5 -0.9 0.7
C -8.12475 -4.82984 -0.51845 0.2 0.0 0.0
C 4.21059 -2.68658 4.62407 -0.1 -0.9 -1.0
C 4.90974 0.39050 9.83431 0.6 -0.1 -1.0
C -9.40553 0.86419 -8.29473 0.0 0.1 0.0
C -8.31987 1.07954 -4.19859 0.2 -0.1 0.1
H 0.23610 -4.57784 2.67851 1.0 -0.6 0.0
C 7.30906 -1.07814 -8.34667 0.1 0.1 0.0
C -0.57438 2.04157 4.59839 -1.1 0.0 -2.1
C -3.24747 -6.66633 0.87505 -0.1 0.0 0.0
O -9.19401 -3.63342 -2.64211 0.1 0.0 0.3
C -5.37833 0.06251 -11.97349 0.1 0.1 0.0
H 0.79688 1.46966 -0.22801 0.1 1.1 0.0
C 4.90546 9.06983 4.98413 0.0 0.0 0.1
H -11.52831 2.30068 -9.54242 0.0 0.0 0.1
H 4.07606 -3.39405 8.49343 -0.3 0.3 0.8
H 4.68055 10.13665 5.02082 0.0 0.0 -0.1
O -7.74425 0.22672 -10.76918 0.2 -0.1 0.0
H 4.69418 -4.90557 2.53077 -1.0 -0.8 0.1
H -6.29076 -1.25329 -8.67629 0.0 0.0 -0.1
H -8.85290 0.77415 -5.09651 0.0 0.0 0.1
H -3.72857 3.36051 -1.47382 0.1 -0.1 0.1
=====

A wretched looking, fat body. A middle-aged man with an eight-legged beard and gorgeous clothes, along with two mercenaries in leather armor and long swords, scolded: "Paladin! You're a cleric! You're blaspheming Eno. Si's pity! People like you should roll into the abyss and be tortured to death by those demons!"

There was not the slightest anger at being insulted on Paladin's face. Instead, he turned to the stunned civilians with a gentle expression and said softly, "Please leave, everyone. I have something to say to this believer." The troubled commoner immediately comforted him, let go of the girl and ran away without a trace.

These are naturally fat businessmen willing to see. After he allowed the commoners to leave, he closed the door of the guard next to him, and said with a gloomy smile: "Paladin, you disregarded the teachings, and you deliberately killed the shop owner Prader and collected the ironworks in his name! You! It is because of the desire for profit, and has been poisoned by the devil very deeply!"

Having said this, he suddenly said in a low voice: "As long as you admit your mistake, transfer the contract of the ironworks to me for safekeeping, and sincerely kneel down and lick the soles of my shoes, I will not report it to the bishop of the diocese." "Humph. Paladin snorted disdainfully, looked at the businessman and said, "Smart people don't talk nonsense, do you want this ironworks?"

"You still have some brains, that's right! I only need the iron smelting plant, and you can come to me to help you solve anything that happens in Nuerba. Believe in a rich local businessman who supports and helps the priest, you will find that this is a huge sum of money. A cost-effective deal." The rich businessman nodded with a surprised look, and said his purpose directly and straightforwardly. Obviously, the behavior of the priest, who was very kind and even shy on weekdays, was very inconsistent with the past.

When Paladin heard this, the sarcastic smile on his face became more and more obvious. He ignored the wealthy businessman and looked directly at the two mercenaries behind him and asked, "You are Kaleich's subordinates, does he have any orders?" The two mercenaries looked at each other, but fell silent. Palatine nodded immediately, ignoring the rich businessman next to him who was a little angry because he was ignored and muttered, "Kalec is the guy who sees the wind. Do you want to see my ability?"

"Hey! I'm going to talk to you again! A priest doesn't even understand the most basic etiquette!" The rich businessman blew his beard and stared, and pointed at Palatine's nose and cursed. But Palatine glanced at him slightly, and with an expressionless flick of his hand, he fell to the ground with a slap. The right foot immediately followed and kicked deeply into the fat stomach! "Ahhh!"

The rich businessman let out a piercing scream, and the two mercenaries were startled. They were about to draw their swords, but they were forced to stop by Palatine's gloomy eyes. Because the two of them had a feeling at the same time, at that moment, it seemed that they were not being stared at by a priest, but were suffocated and oppressed by a huge and terrifying python entrenched in dead leaves! It seems that as long as there is a change, the next moment the huge python will wrap around him and crush his bones!

"You dare to hit me? Paladin, you don't want to be a priest anymore! I know the bishop of the diocese, you..." But Paladin didn't let the angry rich businessman finish his words, and just grabbed his fat man. He abruptly lifted the rich businessman who weighed more than 200 pounds by his neck, and pressed it against the wall with a snap!

"Ignorant and greedy inferior, you have nothing but gold coins. Tell me, are you here to buy an ironworks on your own behalf, or are you your colleagues eager to make a move?" The wealthy businessman, who was already a little scared, still had a hint of courage. , Immediately turned his head to look at the mercenaries who couldn't advance or retreat. Just as he was about to scold, the strength of Paladin's hand immediately increased, and the latter's face instantly flushed red.

## These calculated molecules were left in the piece by mistake
____________
Entry 1:
Entry from the OMol25 dataset: an isolated molecule of C3H4BrNO (ωB97M-V with the def2-TZVPD basis set).

The lowest unoccupied orbital energy (spin up / spin down) comes out at -0.21 / -0.57 eV. As for the total charge: 0. The highest occupied orbital energy (spin up / spin down) is -0.3400 / -0.3165 Eh.

Geometry as XYZ:
```
10
C3H4BrNO (ωB97M-V with the def2-TZVPD basis set)
N 1.540 -0.542 -0.853
Br 2.621 0.265 0.401
H -0.174 2.093 -1.520
H -1.933 0.717 0.479
O 0.522 -1.354 -0.315
C -0.883 0.509 -0.036
H -1.207 -1.598 0.649
C -0.345 1.239 -0.953
H 0.205 -0.574 1.583
C -0.347 -0.756 0.567
```

Atomic partial charges in e from the Löwdin method, atoms 1 to 6: atom 1 (N): -0.41, atom 2 (Br): 0.63, atom 3 (H): 0.03, atom 4 (H): 0.15, atom 5 (O): -0.29, atom 6 (C): -0.23

***

Entry 2:
Entry from the OMol25 dataset: a structure of composition C4H8FN (ωB97M-V with the def2-TZVPD basis set).

The lowest unoccupied orbital energy comes out at 1.12 eV. As for the total charge: 0. The highest occupied orbital energy is -0.3278 Eh.

Geometry as XYZ:
```
14
C4H8FN (ωB97M-V with the def2-TZVPD basis set)
N 0.413 -0.036 -0.626
H 2.102 -0.979 -0.838
H 2.137 0.951 -0.762
C 1.770 -0.029 -0.364
H -0.686 1.824 -0.633
H -2.143 -0.071 1.255
H -0.021 -1.059 1.098
C -0.462 1.012 0.036
C -0.380 -1.006 0.079
H -0.571 -1.990 -0.413
H -0.050 1.516 0.943
C -1.576 -0.029 0.282
F -2.448 -0.053 -0.766
H 1.914 -0.050 0.710
```

Atomic partial charges in e from the Löwdin method, atoms 1 to 6: atom 1 (N): -0.23, atom 2 (H): 0.11, atom 3 (H): 0.11, atom 4 (C): -0.13, atom 5 (H): 0.10, atom 6 (H): 0.15

***

In kJ/mol, the energy relative to the best compared isomer or geometry (same formula, charge and spin) values for the records above are, in order, 649.8; 154.9.


C9H14 | the ωB97M-V functional and the def2-TZVPD basis

As for the net charge: 0. The SMILES is Cc1ccccc1.CC. Its relative energy (zero: lowest compared OMol25 entry of this formula, charge and spin) is 0.899 eV. As for the total energy: -9559.282 eV. The orbital gap is 10.0 eV. Its HOMO energy is -9.014 eV.

CARTESIAN COORDINATES (ANGSTROEM)
H -0.034887 4.377589 -1.005193
C -2.245474 -1.074587 1.293664
H -1.080908 2.719381 -2.436685
H 1.676028 -3.431833 2.220252
H -2.192917 -0.313408 2.078480
H 2.849520 -2.451317 0.408482
C 1.150472 -1.283218 -0.348763
H -2.898732 -1.905451 1.593535
C -0.127072 -2.331149 1.934275
C -0.156943 -0.911059 0.001213
H -0.634697 -2.647858 2.836431
H 1.701587 -0.684174 -1.061443
C -0.076958 2.440674 -2.109890
C -0.819355 -1.524889 1.043302
H 1.018012 3.192997 -0.476489
C 0.638412 3.624217 -1.414044
H -2.831418 -0.670349 0.475643
C 1.797128 -2.197500 0.461482
H 0.554190 2.201091 -2.962260
H -0.543990 -0.054864 -0.531116
C 1.185050 -2.671490 1.630916
H -0.308786 1.530394 -1.574353
H 1.381737 4.066803 -2.057439

Forces on atoms 1 to 3 (eV/Å):
H -0.20 0.17 -0.55
C -0.30 -0.52 0.85
H 0.18 0.27 -0.53

=====

C9H14 | the ωB97M-V functional and the def2-TZVPD basis
____________

"You haven't answered my question yet." The wealthy businessman, who was being pinched more and more uncomfortable, saw that the Paladin's eyes no longer had the piety and gentleness that a servant of God should have, but instead were boundless ** and crazy!

At this moment, the rich businessman was really scared, and a faint voice told him again, if he didn't say anything, this monster in the priest's robe would really kill him! "I said, I said! It's what they mean, Narui, Kira, and Doroner. I'm just a whistleblower! Don't kill me!" Who, seeing Paladin nodded knowingly. These people are all businessmen who accounted for most of the iron ore output in Nurbari. In other words, these people also represent all the iron smelters in Nuerba.

Paladin thought so, and immediately gave it away. The wealthy businessman immediately fell to the ground, and the warrior's red throat coughed. But the wealthy businessman, who was relieved thinking that the other party was feeling jealous, was suddenly shocked to see Palatine grinning and searching out the short sword he was wearing! The rich businessman can guarantee that he has no intention of killing anyone with the dagger.

It's just a gorgeous decoration. It has been worn on the body for several years and has never been pulled out. And just when the wealthy businessman was worried that this Paladin could not think of killing him, Paladin raised his dagger with a grin and stabbed it into his left arm at once! "Aah! Hahahaha. It hurts!" Paladin pulled out his dagger, and bright red blood flowed from his arm immediately. His eyes became more and more crazy.

"You lunatic." The rich businessman and the two mercenaries stared blankly at this scene. The fat rich businessman reacted first, showing a look of fear! But he saw Paladin raised his head in cold sweat, and said with a sinister smile: "In the early morning, disturbing the holy church, driving away believers, and murdering the priests of the Holy See! Hahahaha, you stupid guy, got into trouble. Someone you shouldn't mess with!"

But at this moment, the door that had been closed was suddenly kicked open by a kick from the outside. Kaleich walked in pretending to bring a vote of guards. Ignoring the curious people behind him, he shouted, "I heard that the holy church was blatantly provoked by some people! Huh? What's going on!"

Halfway through the lines, Kaleich saw two mercenaries carefully nodding at Paladin with a painful look on his face and a wealthy businessman lying on the ground with a pale face. Especially seeing the blood rushing out of Paladin's arm, the head that Zhizhu was holding went blank in an instant!

When Palatine saw the main lord coming, he immediately screamed and fell to the ground with a snap, clutching his bleeding arm and wailing. When Kaleich heard the scream, he immediately came back to his senses and ran over quickly, not forgetting to glance at the rich businessman. However, he saw that the other party's eyes were dull, as if his heart was dead.